-- Listing --
........
(1)
This entry pairs a crystal structure of Dy2FeGe2Rh5 with its simulated powder diffraction line list. Radiation: Cu Ka. Structure: a DFT-relaxed cell (GGA-PBE, Alexandria).
No peak broadening, texture or thermal motion is included.

Crystal structure
```
Dy2FeGe2Rh5
1.0
9.6782 0.0000 0.0000
0.0000 9.6782 0.0000
0.0000 0.0000 3.5753
Dy Fe Ge Rh
4 2 4 10
Cartesian
1.6752 3.1639 0.0000
3.1639 8.0031 0.0000
6.5143 1.6752 0.0000
8.0031 6.5143 0.0000
0.0000 0.0000 0.0000
4.8391 4.8391 0.0000
1.2241 6.0632 0.0000
3.6151 1.2241 0.0000
6.0632 8.4542 0.0000
8.4542 3.6151 0.0000
0.0000 4.8391 1.7877
0.6312 7.7173 1.7877
1.9610 0.6312 1.7877
2.8782 5.4703 1.7877
4.2080 2.8782 1.7877
4.8391 0.0000 1.7877
5.4703 6.8001 1.7877
6.8001 4.2080 1.7877
7.7173 9.0471 1.7877
9.0471 1.9610 1.7877
```

Peak list (6 most intense, 2θ from 10° to 90°, by angle)
index  2θ (°)  Rel. int.
2 1 1  32.48  306
4 1 0  38.35  558
3 1 1  38.73  1000
3 3 0  39.50  268
3 2 1  42.09  346
0 0 2  51.09  231

=====

(2)
This entry pairs a crystal structure of DyFe6Sn4Ge2 with its simulated powder diffraction line list. Radiation: Cu Ka. Structure: a DFT-relaxed cell (GGA-PBE, Alexandria).
No peak broadening, texture or thermal motion is included.

Crystal structure
```
DyFe6Sn4Ge2
1.0
5.2875 0.0000 0.0000
-2.6437 4.5791 0.0000
0.0000 0.0000 8.7291
Dy Fe Sn Ge
1 6 4 2
Cartesian
0.0000 0.0000 0.0000
-1.3219 2.2895 2.0222
-1.3219 2.2895 6.7069
2.6437 0.0000 2.0222
2.6437 0.0000 6.7069
1.3219 2.2895 2.0222
1.3219 2.2895 6.7069
0.0000 0.0000 2.9317
0.0000 0.0000 5.7974
0.0000 3.0527 4.3645
2.6437 1.5264 4.3645
0.0000 3.0527 0.0000
2.6437 1.5264 0.0000
```

Peak list (6 most intense, 2θ from 10° to 90°, by angle)
index  2θ (°)  Rel. int.
1 1 0  33.91  1000
1 0 3  36.59  848
2 0 0  39.35  452
1 1 2  39.87  855
2 0 2  44.70  487
2 1 3  62.43  368

=====

(3)
This entry pairs a crystal structure of DyHfFe4 with its simulated powder diffraction line list. Radiation: Cu Ka. Structure: a DFT-relaxed cell (GGA-PBE, Alexandria).
No peak broadening, texture or thermal motion is included.

Crystal structure
```
DyHfFe4
1.0
5.0369 0.0000 0.0000
-2.5185 4.3621 0.0000
0.0000 0.0000 8.2143
Dy Hf Fe
2 2 8
Cartesian
0.0000 2.9081 0.5282
2.5185 1.4540 7.6860
0.0000 2.9081 3.6205
2.5185 1.4540 4.5937
0.0000 0.0000 0.0000
0.0000 0.0000 4.1071
0.0000 1.4609 6.0665
-1.2533 3.6317 6.0665
1.2652 0.7305 2.1478
1.2533 3.6317 6.0665
3.7718 0.7305 2.1478
2.5185 2.9012 2.1478
```

Peak list (6 most intense, 2θ from 10° to 90°, by angle)
index  2θ (°)  Rel. int.
1 1 0  35.65  703
0 1 3  38.83  995
1 1 2  42.09  1000
2 0 1  42.90  509
1 2 3  66.16  406
2 0 5  71.96  266

----------

Computed X-ray diffraction stick pattern
Compound: TmMnAs2O8
Radiation: λ = 1.5418 Å (Cu Kα)
Structure: a GGA+U-relaxed structure
Intensities are scaled so that the largest is 100.

Structure:
abc: 5.8283 5.8283 5.8283
angles: 107.16 107.16 114.21
Sites, in units of the cell vectors:
Tm 0.0000 0.0000 0.0000
Mn 0.2500 0.7500 0.5000
As 0.5000 0.5000 0.0000
As 0.7500 0.2500 0.5000
O 0.3176 0.1314 0.8138
O 0.3176 0.5037 0.1862
O 0.3856 0.0702 0.3154
O 0.4963 0.6824 0.8138
O 0.7548 0.0702 0.6846
O 0.8686 0.6824 0.1862
O 0.9298 0.2452 0.3154
O 0.9298 0.6144 0.6846

Most intense lines, 2θ = 10–90°, by angle:
| 2θ (°) | intensity |
| --- | --- |
| 18.13 | 16.6 |
| 19.00 | 20.8 |
| 25.75 | 100.0 |
| 33.72 | 72.8 |
| 36.73 | 20.2 |
| 50.71 | 60.8 |
| 52.92 | 15.7 |
| 59.76 | 13.3 |
| 64.24 | 18.0 |
| 76.34 | 12.8 |

----------

The following is a simulated powder diffractogram of AcLa9Dy4. It was derived from a PBE-relaxed structure, using CuKα.
No peak broadening, texture or thermal motion is included.

Largest 10 diffraction maxima, in order of falling intensity, 2θ from 15° to 90°:
two_theta  intensity  (hkl)
31.09  100  2 1 2
31.67  36  3 0 1
30.46  34  0 0 4
30.69  29  2 0 3
54.85  20  5 0 2
63.83  20  3 3 4
49.91  20  3 0 5
54.51  17  2 1 6
54.62  17  3 3 0
35.61  16  2 2 0
........

-- Job --
Please duplicate only the lines earlier on with the word "falling" in them.

-- Outcome --
Largest 10 diffraction maxima, in order of falling intensity, 2θ from 15° to 90°: